Caffeine resource: How much caffeine is in your coffee?

Ever wondered how much caffeine was in your cup of morning coffee? Drinking coffee can impact your health, and usually for the better. But consuming more caffeine than you can handle can sometimes cause negative effects, such as anxiety, heart palpitations and problems getting to sleep. So it’s always good to know how much caffeine we’re pouring into our bodies. To make it easier for you to work this out, the experts here at Amore Coffee have gathered together as much data as possible in this caffeine resource, allowing you to compare and contrast the caffeine levels of various different brands and types of coffee. We’ve also included tea and some other caffeine-rich soft drinks, just to help you get the whole picture.

Misplaced data records >
........
NpPa2In9 PBE optimized geometry; E_form = -0.092 eV/atom
1.0
-4.589 -0.633 0.508
0.436 -4.381 -1.528
2.052 -4.365 13.098
Np Pa In
1 2 9
Direct
0.000 0.000 0.000
0.000 0.000 0.333
0.000 0.000 0.667
0.500 0.500 0.000
0.500 0.500 0.333
0.500 0.500 0.667
0.500 0.000 0.166
0.500 0.000 0.500
0.500 0.000 0.834
0.000 0.500 0.166
0.000 0.500 0.500
0.000 0.500 0.834
........

Safe amounts of caffeine

The safe amount of caffeine changes depending on the person due to their individual tolerance, but as a rough guide 400–600mg of caffeine per day should be absolutely fine. This is equivalent to approximately 4–6 average cups of coffee. If your tolerance is much higher, you can drink way more. Just make sure you pay attention to how your body reacts to caffeine; it’s a fantastic stimulant with loads of positive health benefits (read our coffee health guide here) but only if it is enjoyed responsibly!

How much caffeine is in the average cup of coffee?

Type of coffee Size in millilitres (mL) Caffeine in milligrams (mg)
Brewed coffee 8 oz. (237 mL) 95-200 mg
Brewed coffee (decaf) 8 oz. (237 mL) 2-12 mg
Brewed coffee single-serve varieties (from sachets and capsules) 8 oz. (237 mL) 75-150 mg
Brewed coffee single-serve varieties (from sachets and capsules) decaf 8 oz. (237 mL) 2-4 mg
Espresso coffee* 1 oz. (30 mL) 47-75 mg
Espresso coffee (decaf) 1 oz. (30 mL) 0-15 mg
Instant coffee 8 oz. (237 mL) 27-173 mg
Instant coffee (decaf) 8 oz. (237 mL) 2-12 mg

*The various espresso coffee beverages are all made with a shot of espresso with milk or water added. So this entry also incorporates Americano, Latte, Mocha, Flat White, Cappuccino and any other coffee beverage made from an espresso machine.

What coffee has the most caffeine in it?

Most coffee beans have a similar amount of caffeine, and the differences between them are negligible. However, some companies have gone to extra effort, either in the lab or the roasting and brewing process, to make their coffee as caffeinated as possible. Here are our top three most caffeinated coffee beverages:

What comes next are calculated crystals, not part of the piece
=====
Material: MnPO2F
Method: DFT, PBE with a Hubbard U
State: relaxed

Calculated values
Space-group type: P4/mmm
Calculated total energy, eV per atom: -4.55

Unit cell a=4.4057 b=4.4057 c=3.3864 alpha=90.00 beta=90.00 gamma=90.00
Element x y z (fractional)
Mn 0.0000 0.0000 0.0000
P 0.5000 0.5000 0.0000
O 0.0000 0.5000 0.5000
O 0.5000 0.0000 0.5000
F 0.5000 0.5000 0.5000


Here is a geometry-optimized HoMgScSi structure from Alexandria. Energies are from GGA-PBE.

The value obtained for the uncorrected formation energy is -0.281 eV per atom. For the volume, the calculation gives 336.3 Å³/cell. For the density of states at the Fermi level, the calculation gives 3.3 states/eV/f.u.

The space group is F-43m (No. 216) and the conventional cell measures 6.9541, 6.9541 and 6.9541 Å, with angles of 90.00, 90.00 and 90.00 degrees. Symmetry generates all atoms from Ho at (0.0000, 0.0000, 0.0000), Mg at (0.2500, 0.2500, 0.7500), Sc at (0.0000, 0.0000, 0.5000) and Si at (0.2500, 0.2500, 0.2500).

=====

Here is a geometry-optimized Sm2Ho6MgSc3 structure from Alexandria. Energies are from GGA-PBE.

For the energy, the calculation gives -56.99 eV/f.u. For the volume, the calculation gives 697.4 Å³/cell. For the density of states at the Fermi level, the calculation gives 17.1 states/eV/f.u.

The space group is C2/m (No. 12) and the conventional cell measures 5.9935, 10.3878 and 11.3803 Å, with angles of 90.00, 100.19 and 90.00 degrees. Symmetry generates all atoms from Sm at (0.0000, 0.1667, 0.0000), Ho at (0.2465, 0.5000, 0.7402), Ho at (0.2475, 0.1663, 0.7403), Mg at (0.0000, 0.5000, 0.0000), Sc at (0.0000, 0.0000, 0.5000) and Sc at (0.0000, 0.3348, 0.5000).

=====

Here is a geometry-optimized SmHoMgSc structure from Alexandria. Energies are from GGA-PBE.

For the volume, the calculation gives 112.2 Å³/cell. The calculation puts the polymorph energy (0 for the lowest one) at 0.00 eV/f.u. For the density of states at the Fermi level, the calculation gives 5.3 states/eV/f.u.

The space group is P4mm (No. 99) and the conventional cell measures 3.4941, 3.4941 and 9.1864 Å, with angles of 90.00, 90.00 and 90.00 degrees. Symmetry generates all atoms from Sm at (0.0000, 0.0000, 0.0000), Ho at (0.5000, 0.5000, 0.7199), Mg at (0.5000, 0.5000, 0.2557) and Sc at (0.0000, 0.0000, 0.4708).

=====

Here is a geometry-optimized SmHoMgSc structure from Alexandria. Energies are from GGA-PBE.

For the volume, the calculation gives 446.6 Å³/cell. The calculation puts the polymorph energy (0 for the lowest one) at 0.11 eV/f.u. For the density of states at the Fermi level, the calculation gives 4.5 states/eV/f.u.

The space group is F-43m (No. 216) and the conventional cell measures 7.6440, 7.6440 and 7.6440 Å, with angles of 90.00, 90.00 and 90.00 degrees. Symmetry generates all atoms from Sm at (0.0000, 0.0000, 0.0000), Ho at (0.0000, 0.0000, 0.5000), Mg at (0.2500, 0.2500, 0.7500) and Sc at (0.2500, 0.2500, 0.2500).

=====
=====

3) Nespresso coffee capsules

These little guys pack a big punch, with 44.4mg/fl. Oz of caffeine. In each Nespresso capsule you’ll find 60mg of caffeine. To put this into perspective, if you were to indulge in an average-sized mug of coffee (12oz) filled with Nespresso you would consuming 532.8mg of caffeine!

2) Starbucks espresso

Famous for their large cup sizes, this international coffee chain can also boast some of the most caffeinated coffee in the land. One shot of Starbucks espresso contains 50mg/fl. Oz of caffeine. And when you consider the double and triple shots you can get for larger beverages in Starbucks, the caffeine levels really start to add up!

1)      Deathwish

With a name like Deathwish, this coffee brand ought to come in at number 1! Deathwish prides itself on having the strongest coffee in the world and they market themselves around this. With 55mg/fl. Oz of caffeine, Deathwish produces coffee much stronger than the average espresso. In the average 12-ounce mug of Deathwish coffee there is 660mg of caffeine, which is over twice as much as most common coffee brews!

How much caffeine is in your cup of tea?

The following table shows how the amount of caffeine (in milligrams) in the average cup of tea changes the longer it is brewed.

Brewing Time Generic Black Tea Generic Green Tea Generic Oolong
1 min brew 19 9 9
3 min brew 28 18 20
5 min brew 31 21 27

== Calculated crystals from another source follow ==
┌──
[1]
Entry from the Alexandria database: crystalline InAgPH2 at its relaxed geometry (PBEsol).

Lattice parameters (Å, degrees): 3.606 3.606 6.029 90.00 90.00 90.00
Atoms (fractional coordinates):
P1 0.500 0.500 0.500
H1 0.500 0.000 0.000
H2 0.000 0.500 0.000
In1 0.000 0.000 0.500
Ag1 0.000 0.000 0.000

Properties
For the total energy, the calculation gives -16.38 eV/cell. The spin magnetization is 0.35 μB per formula unit. The crystal system is tetragonal. As for the density: 5.415 g/cm3.

=====

[2]
Entry from the Alexandria database: crystalline YNb2InOs at its relaxed geometry (PBEsol).

Lattice parameters (Å, degrees): 4.732 4.732 5.177 90.00 90.00 90.00
Atoms (fractional coordinates):
Y1 0.000 0.000 0.000
Os1 0.500 0.500 0.500
In1 0.000 0.000 0.500
Nb1 0.000 0.500 0.000
Nb2 0.500 0.000 0.000

Properties
For the total energy, the calculation gives -31.16 eV/cell. The spin magnetization is 0.97 μB per formula unit. The crystal system is tetragonal. As for the density: 8.304 g/cm3.

=====

[3]
Entry from the Alexandria database: crystalline RbW3F at its relaxed geometry (PBEsol).

Lattice parameters (Å, degrees): 4.448 4.448 4.448 90.00 90.00 90.00
Atoms (fractional coordinates):
F1 0.000 0.000 0.000
W1 0.500 0.000 0.000
W2 0.000 0.000 0.500
W3 0.000 0.500 0.000
Rb1 0.500 0.500 0.500

Properties
The spin magnetization is 0.00 μB per formula unit. Its energy relative to the elements, uncorrected is 2.1415 eV/atom. The crystal system is cubic. As for the density: 12.377 g/cm3.

=====

[4]
Entry from the Alexandria database: crystalline Rb2LiVCl6 at its relaxed geometry (PBEsol).

Lattice parameters (Å, degrees): 5.946 6.922 6.922 120.00 90.00 90.00
Atoms (fractional coordinates):
Rb1 0.734 0.667 0.333
Rb2 0.266 0.333 0.667
Cl1 0.733 0.681 0.840
Cl2 0.267 0.319 0.160
Cl3 0.733 0.160 0.319
Cl4 0.733 0.160 0.840
Cl5 0.267 0.840 0.160
Cl6 0.267 0.840 0.681
V1 0.500 0.000 0.000
Li1 0.000 0.000 0.000

Properties
The spin magnetization is 2.00 μB per formula unit. Its energy relative to the elements, uncorrected is -1.6789 eV/atom. For the energy relative to the lowest polymorph listed for this composition, the calculation gives 0 meV/atom. The crystal system is trigonal. As for the density: 2.972 g/cm3.

=====

[5]
Entry from the Alexandria database: crystalline Na2V2O5 at its relaxed geometry (PBEsol).

Lattice parameters (Å, degrees): 5.304 5.438 8.029 109.80 109.29 90.00
Atoms (fractional coordinates):
Na1 0.897 0.922 0.791
Na2 0.606 0.632 0.209
Na3 0.397 0.368 0.791
Na4 0.106 0.078 0.209
V1 0.205 0.675 0.500
V2 0.011 0.500 0.000
V3 0.705 0.325 0.500
V4 0.511 0.000 0.000
O1 0.385 0.916 0.715
O2 0.170 0.702 0.285
O3 0.365 0.379 0.500
O4 0.273 0.259 0.022
O5 0.773 0.263 0.022
O6 0.670 0.084 0.285
O7 0.752 0.737 0.978
O8 0.865 0.621 0.500
O9 0.252 0.741 0.978
O10 0.885 0.298 0.715

Properties
└──

As you can see, beverages made from brewing tea leaves have much less caffeine than coffee, but they can be made much stronger if you are patient and allow them to brew for longer.

How much caffeine is in other soft drinks (Energy drinks, pop, etc.)?

The following table contains information about the amount of caffeine (in milligrams) in an average-sized glass (around 12 oz or 330-340 mL) of several of the most popular energy drinks and other soft drinks.

Type of beverage (12 oz or 330-340ml) Amount of caffeine (mg)
Rockstar 120
Monster 120
Red Bull 110.7
Pepsi One 55.5
Mountain Dew 55
Diet Mountain Dew 55
Diet Coke 45.6
Dr. Pepper 41
Diet Dr. Pepper 41
Pepsi-Cola 37.5
Diet Pepsi 36
Coca-Cola Classic 34
Cherry Coke 34
Vanilla Coke 34
Diet Cherry Coke 34
Snapple Flavored Teas (Reg. or Diet) 31.5
Irn Bru 30
Snapple Sweet Tea 12
Lipton Brisk, All Varieties 9
Sprite 0
7-Up 0
Fanta 0
Lilt 0

And that’s it. We hope you’ve learned a thing or two and that this caffeine resource proves useful. We’re passionate about coffee here at Amore Coffee and we’re interested caffeine its role in many of the beverages we drink on a daily basis. Please get in touch with us if you have a coffee-related question or if you’d like to enquire about our coffee machine rental service.


Journal of Food Science, 2010; Pediatrics, 2011; USDA National Nutrient Database for Standard Reference, Release 26; Journal of Analytical Toxicology

2006; Starbucks, 2014; Food and Chemical Toxicology, 2014; Keurig, 2014